Please, someone make a scrypt for automatic shifting pubkey to "zero" ? I was try many times and not found any keys I think because of this. Manualy shift all pubkeys to "zero" is f**ing work, trust me please.
def inverse(x, p):
Calculate the modular inverse of x ( mod p )
inv1 = 1
inv2 = 0
while p != 1 and p!=0:
quotient = x // p
inv1, inv2 = inv2, inv1 - inv2 * quotient
x, p = p, x % p
n = n+1
return inv2
def dblpt(pt, p):
Calculate pt+pt = 2*pt
if pt is None:
return None
(x,y)= pt
if y==0:
return None
slope= 3*pow(x,2,p)*pow(2*y,p-2,p)
xsum= pow(slope,2,p)-2*x
ysum= slope*(x-xsum)-y
return (xsum%p, ysum%p)
def addpt(p1,p2, p):
Calculate p1+p2
if p1 is None or p2 is None:
return None
(x1,y1)= p1
(x2,y2)= p2
if x1==x2:
return dblpt(p1, p)
# calculate (y1-y2)/(x1-x2) modulus p
xsum= pow(slope,2,p)-(x1+x2)
ysum= slope*(x1-xsum)-y1
return (xsum%p, ysum%p)
def ptmul(pt,a, p):
Calculate pt*a
scale= pt
while a:
if a&1:
if acc is None:
acc= scale
acc= addpt(acc,scale, p)
scale= dblpt(scale, p)
a >>= 1
┌──
1.
C13H17ClN2O4Os | ωB97M-V/def2-TZVPD

Summary:
2S+1 = 5
electronic energy = -39884.7667 eV
frontier orbital gap (alpha / beta) = 5.17 / 5.05 eV
charge = +2
HOMO (alpha / beta) = -14.93 / -14.83 eV

Element x y z (Å)
H -2.97 -1.00 -0.17
O 0.20 1.29 5.82
Cl -0.17 -0.10 6.15
C 0.70 -1.62 -3.65
C 0.64 0.70 -2.55
H -0.13 1.26 2.09
H -0.28 -2.92 -0.14
C -2.51 -0.02 -0.15
O 1.23 -1.00 3.27
C 1.16 2.92 -3.43
H -1.12 1.21 3.52
Os -1.36 0.13 -1.64
H 0.73 -3.69 -4.30
C 0.50 -0.73 -2.55
C 1.01 1.55 -3.63
H 1.46 -1.13 4.22
C 0.49 2.62 -1.12
H -0.50 -0.83 2.20
H 0.23 3.00 -0.14
H 0.67 1.46 3.70
H -3.18 0.70 -0.67
C 0.23 -3.48 -2.18
H -0.66 -0.88 4.02
H 0.93 -1.16 -4.62
O 0.99 -1.02 5.87
C 0.92 3.45 -2.15
O -1.34 -0.55 5.21
C 0.02 -2.60 -1.13
H 1.03 4.52 -1.99
H 0.11 -4.56 -2.03
H 1.48 3.58 -4.25
N 0.13 -1.24 -1.33
N 0.31 1.28 -1.34
C 0.56 -2.99 -3.46
H 1.13 1.08 -4.60
H -2.49 0.31 0.89
C -0.02 -0.48 3.14
C -0.13 0.96 3.14

Löwdin atomic charge list, values in e, 2 entries: atom 1 (H): 0.045, atom 2 (O): -0.403

---

2.
C13H17F3N2O2SScSi | ωB97M-V/def2-TZVPD

Summary:
electronic energy = -68396.5375 eV
energy relative to the best compared isomer or geometry (same formula, charge and spin) = 49.6 kJ/mol
frontier orbital gap = 8.11 eV
charge = +1
HOMO = -11.62 eV

Element x y z (Å)
H -2.38 4.41 4.23
H 4.33 -0.64 1.79
C 3.07 -0.09 -0.52
C -0.04 -0.12 3.02
C 4.50 -0.17 -0.34
H 4.87 0.85 -0.24
H -0.31 2.24 5.38
C -0.21 0.42 4.27
H 5.92 -0.93 1.09
H 2.51 4.68 3.96
O -3.81 -0.03 -1.29
H 4.60 -2.06 0.76
F -1.81 -0.02 -3.52
C 0.27 2.00 2.09
Si 0.04 4.54 3.66
H -0.09 -1.19 2.87
Sc -0.05 0.59 -0.16
C -0.16 1.80 4.41
H 4.95 -0.61 -1.23
H -1.63 5.81 4.99
C -0.12 5.67 2.17
H 1.69 5.95 4.86
H -0.39 -0.22 5.12
C -1.55 0.12 -2.27
C 0.07 2.64 3.32
H -1.41 4.22 5.69
H 1.73 4.30 5.49
N 0.21 0.64 1.95
H -0.95 5.37 1.52
C -2.66 0.16 -1.06
C 1.64 4.89 4.58
H 0.78 5.70 1.57
C 4.85 -1.01 0.91
C -1.48 4.76 4.74
N 1.93 -0.03 -0.62
F -0.75 1.27 -2.11
F -0.61 -0.86 -1.90
S 0.60 2.83 0.58
H -0.33 6.68 2.52
O -1.97 0.38 -0.01

Löwdin atomic charge list, values in e, 2 entries: atom 1 (H): 0.042, atom 2 (H): 0.084

---

3.
C13H17F3NO6S | ωB97M-V/def2-TZVPD

Summary:
electronic energy = -46521.2412 eV
energy relative to the best compared isomer or geometry (same formula, charge and spin) = 15.4 kJ/mol
frontier orbital gap = 7.53 eV
charge = -1
HOMO = -4.77 eV

Element x y z (Å)
O 0.48 -0.34 7.07
H -1.88 2.37 2.59
C 3.36 -1.49 0.38
C -1.41 0.07 1.04
H 2.92 -0.18 8.28
O 1.60 1.94 1.73
F 0.75 -1.83 2.88
C 4.01 -0.82 6.43
H 4.38 -1.55 -0.01
C -0.56 -1.78 3.22
O 1.59 -0.22 1.15
C 1.60 -0.55 6.61
H -3.40 -0.64 -0.39
H 2.75 -1.94 7.81
H -5.18 0.83 0.40
C 1.02 0.86 1.69
H -0.07 2.71 2.88
S -1.31 -0.09 3.43
H -0.77 2.88 1.27
F -1.29 -2.52 2.29
O 3.85 -0.42 3.98
H -3.40 -1.52 1.17
H 3.30 -2.14 1.26
H 2.68 -1.85 -0.39
C 2.86 -0.90 7.45
N 1.98 -0.50 5.30
H 4.70 0.00 6.65
C -3.58 -0.55 0.69
H -5.16 0.11 2.02
C 3.01 -0.09 0.77
F -0.75 -2.41 4.42
H 3.09 0.60 -0.08
C -0.85 2.29 2.20
O -1.02 -0.71 0.20
└──
return acc
def ptdiv(pt,a,p,n):
(These data records were left in the article by mistake)
........
(1)
Below is a molecular structure, C34H97N5O19 in a non-equilibrium geometry, with properties calculated with ωB97M-V with the def2-TZVPD basis set.

Values from the calculation:
energy relative to the best compared isomer or geometry (same formula, charge and spin): 547.4 kcal per mole
total energy: -3055.898906 Ha
Kohn-Sham gap: 5.77 eV
HOMO: -5.7 eV

Atoms and positions in Å:
C: -3.23726 -5.21619 2.13920
C: -4.10650 -5.19936 0.85910
O: -4.28487 -3.87524 0.39390
O: -4.06809 -5.23922 3.31118
H: -2.58623 -4.34045 2.14235
H: -2.56123 -6.07192 2.14794
H: -5.08212 -5.63605 1.09453
H: -3.81809 -5.96710 0.13829
H: -4.84317 -3.36141 0.98807
H: -4.07804 -4.32268 3.60064
C: -0.84546 -3.87655 -4.44988
C: -0.53647 -4.00520 -2.93948
O: -1.01871 -5.13491 -2.22741
O: -0.11764 -2.93043 -5.19313
H: -1.91869 -3.84817 -4.65306
H: -0.49916 -4.84252 -4.83669
H: -0.85277 -3.05638 -2.49996
H: 0.54466 -4.14866 -2.89944
H: -1.91107 -4.94602 -1.90807
H: -0.15084 -3.12728 -6.13002
C: -0.92388 1.14634 2.66121
C: -1.33055 1.13209 4.13114
O: -1.70286 -0.11943 4.63453
O: -1.75359 0.54107 1.72278
H: 0.08971 0.73562 2.61361
H: -0.75515 2.19315 2.38333
H: -2.17737 1.81470 4.26835
H: -0.52790 1.54660 4.73980
H: -2.11476 -0.59590 3.90508
H: -1.16112 0.21879 1.02509
C: -6.81973 0.33155 1.21736
C: -5.68529 -0.62980 1.42644
O: -6.22624 -1.93507 1.69811
O: -7.46179 0.05141 -0.01380
H: -6.54925 1.38360 1.25219
H: -7.49711 0.07783 2.04016
H: -5.06681 -0.45365 2.31006
H: -5.06700 -0.83342 0.55143
H: -6.70583 -1.88435 2.53098
H: -7.77765 -0.85671 -0.02061
C: 3.54784 -3.61035 -1.55958
C: 4.31457 -3.22466 -0.29469
O: 5.64810 -2.81742 -0.62223
O: 3.14377 -2.39332 -2.15992
H: 2.65489 -4.22997 -1.47084
H: 4.16844 -4.24483 -2.19931
H: 4.46888 -4.06905 0.38232
H: 3.88879 -2.35217 0.20182
H: 5.74214 -1.98554 -0.15336
H: 3.85663 -1.79887 -2.40539
C: -5.42640 -2.63064 -2.99011
C: -4.76131 -4.02348 -3.18998
O: -3.69839 -4.26150 -2.30776
O: -4.66856 -1.53757 -3.49940
H: -5.65849 -2.55507 -1.92377
H: -6.38745 -2.56371 -3.50337
H: -4.37981 -4.22063 -4.19006
H: -5.58293 -4.70400 -2.94106
H: -3.98411 -4.24860 -1.38587
H: -4.14943 -1.13822 -2.78104
C: -0.86079 -2.67755 0.24283
C: 0.29926 -1.75997 -0.25261
O: 0.33493 -0.42538 0.26578
O: -2.06338 -2.03282 -0.10528
H: -0.79017 -2.81716 1.32452
H: -0.70313 -3.61225 -0.29876
H: 0.24669 -1.70234 -1.33948
H: 1.19388 -2.30661 0.05416
H: 0.88504 0.10748 -0.31472
H: -2.81298 -2.61571 0.06638
C: 1.84912 2.84303 5.59573
C: 2.94394 3.67371 4.96510
C: 2.55723 4.01375 3.48953
O: 2.23409 2.83502 2.77331
C: 1.99232 2.99068 1.36878
N: 3.28967 4.78664 5.80155
H: 1.44908 1.89792 5.22978
H: 0.96722 3.44612 5.84597
H: 2.06499 2.59804 6.64273
H: 3.78761 2.98137 4.91418
H: 3.45352 4.43766 3.03147
H: 1.70614 4.69560 3.55910
H: 1.55379 2.09109 0.93898
H: 2.96962 3.05929 0.88190
H: 1.45930 3.88087 1.03213
H: 3.57705 4.46398 6.72130
H: 2.51327 5.32383 6.18007
C: -3.06244 1.53551 -3.61056
C: -2.79718 1.31718 -2.11805
C: -3.90694 1.80275 -1.24161
O: -3.71753 3.24951 -1.05106
........
Calculate pt/a
divpt=inverse(a, n)%n
return ptmul(pt, divpt, p)
def isoncurve(pt,p):
returns True when pt is on the secp256k1 curve
(x,y)= pt
return (y**2 - x**3 - 7)%p == 0
def getuncompressedpub(compressed_key):
returns uncompressed public key
y_parity = int(compressed_key[:2]) - 2
x = int(compressed_key[2:], 16)
a = (pow(x, 3, p) + 7) % p
y = pow(a, (p+1)//4, p)
if y % 2 != y_parity:
y = -y % p
return (x,y)
#secp256k1 constants
p = 2**256 - 2**32 - 977
g= (Gx,Gy)
#CHANGE HERE beginrange and pointstr
pointstr = '037e1238f7b1ce757df94faa9a2eb261bf0aeb9f84dbf81212104e78931c2a19dc'
pt= getuncompressedpub(pointstr)
(subptx,subpty) = ptmul(g, beginrange, p)
result=addpt(pt, (subptx,p-subpty), p)
print("shifted result> 04%064x%064x"%result)
P.S. Kangaroo app automaticly shift range and pubkey if begin range is not zero.
Good day Etar !
Help me please. Then I make revers operation - (subptx,p+subpty), I not get starting pubkey !!!
So I cant go back to 037e1238f7b1ce757df94faa9a2eb261bf0aeb9f84dbf81212104e78931c2a19dc if I add starting range.
So 037e1238f7b1ce757df94faa9a2eb261bf0aeb9f84dbf81212104e78931c2a19dc - 80000000000000000000 = 043aeb4f818ca91912a3e50d1b3db196696f82713bae00ba2b53c09a23f1d284a085b2197137256 def6c05a0f105e1b1eee9c10d23b7a4911040a23e891ebb3dc9
# Next to the text, the page also holds records of molecules
-- begin --
[1]
Formula: C27H49N6O2
Source: the OMol25 dataset
Level of theory: ωB97M-V with the def2-TZVPD basis set

Atoms and positions in Å:
1 O 1.88973 1.28084 0.44024
2 C 1.02968 1.97476 0.73970
3 O 0.88394 2.38369 2.03542
4 C 0.06108 2.54782 -0.25995
5 C -1.39972 2.26179 0.11187
6 C -2.33005 3.37264 -0.36145
7 C -3.65131 3.19139 0.40770
8 C -4.00604 1.71503 0.71334
9 C -3.29679 0.65791 -0.13083
10 N -1.89381 1.02436 -0.52971
11 H 0.18389 1.89140 2.48084
12 H 0.31092 2.18161 -1.24591
13 H 0.19431 3.61890 -0.22445
14 H -1.44771 2.22746 1.19243
15 H -2.55416 3.16764 -1.40679
16 H -1.89923 4.34858 -0.20830
17 H -4.46367 3.73451 -0.04254
18 H -3.47975 3.67050 1.36350
19 H -3.90412 1.48730 1.76089
20 H -5.05544 1.59013 0.49688
21 H -3.82437 0.36200 -1.01894
22 H -3.22194 -0.23240 0.47213
23 H -1.22461 0.26815 -0.37060
24 H -1.89502 1.18477 -1.53833
25 C 1.26986 6.94596 -1.23279
26 C 0.43446 8.20351 -1.45311
27 C -0.43598 8.53971 -0.23790
28 C -1.41352 7.48780 0.01938
29 N -2.13823 6.62267 0.23195
30 H 0.62985 6.07206 -1.08053
31 H 1.90239 6.74579 -2.09443
32 H 1.91793 7.05271 -0.36149
33 H -0.19070 8.07725 -2.33902
34 H 1.09664 9.04688 -1.65153
35 H -0.96185 9.48228 -0.39973
36 H 0.18937 8.67620 0.64603
37 C -1.36704 -3.31341 0.68342
38 C -2.62487 -4.13006 0.41467
39 C -2.97224 -4.22316 -1.07447
40 C -3.29193 -2.91688 -1.64092
41 N -3.51695 -1.87967 -2.08158
42 H -1.48859 -2.27101 0.35748
43 H -1.14543 -3.30567 1.74328
44 H -0.50790 -3.73628 0.16229
45 H -3.46415 -3.69937 0.96571
46 H -2.47717 -5.13977 0.79777
47 H -3.82901 -4.88529 -1.20980
48 H -2.14255 -4.66817 -1.62636
49 C 1.74219 -2.67119 5.04000
50 C 2.56752 -3.92550 4.77554
51 C 2.51045 -4.38119 3.31443
52 C 1.16294 -4.77889 2.91042
53 N 0.10250 -5.08656 2.59372
54 H 0.68219 -2.84365 4.84321
55 H 1.83970 -2.36528 6.08115
56 H 2.07816 -1.84260 4.41205
57 H 2.22613 -4.73011 5.42856
58 H 3.60893 -3.72741 5.03333
59 H 3.18056 -5.23022 3.16966
60 H 2.86531 -3.58460 2.65736
61 C 0.36772 -7.44812 -3.92921
62 C -0.73216 -8.42676 -4.32564
63 C -2.13125 -7.94507 -3.93050
64 C -2.29026 -7.83468 -2.48105
65 N -2.41290 -7.74562 -1.34226
66 H 0.41343 -7.31793 -2.84635
67 H 1.33901 -7.81502 -4.25949
68 H 0.20413 -6.46945 -4.38593
69 H -0.53383 -9.39981 -3.87358
70 H -0.71026 -8.56857 -5.40725
71 H -2.87929 -8.64347 -4.30941
72 H -2.34113 -6.97826 -4.39246
73 C 5.88778 3.69416 1.20266
74 C 4.57528 3.00636 0.84342
75 C 4.33436 2.93118 -0.66745
76 C 4.19400 4.25550 -1.27360
77 N 4.09627 5.29795 -1.74621
78 H 5.89937 4.73223 0.86701
79 H 6.03239 3.69377 2.28267
80 H 6.73613 3.17914 0.74878
81 H 3.74636 3.52922 1.32664
82 H 4.58351 1.99007 1.24060
83 H 3.42463 2.35909 -0.86257
84 H 5.15194 2.39639 -1.15366

Atoms 1-2, force components in eV/Å:
3.88 -3.22 -1.41
-2.98 2.14 0.83

Calculated values
Charge: +1
Gap between HOMO and LUMO (hartree): 0.3896
2S+1: 1
LUMO energy (Ha): -0.1017

Here are the Mulliken charges for atoms 1 to 2, given in e: number 1, O, carries -0.50; number 2, C, carries 0.35

=====

[2]
-- stop --
043aeb4f818ca91912a3e50d1b3db196696f82713bae00ba2b53c09a23f1d284a085b2197137256 def6c05a0f105e1b1eee9c10d23b7a4911040a23e891ebb3dc9 + 80000000000000000000 = 041e8e77439c921a460ce4185b864329dcba5960646e93c59d5e7bbbea8dd913fcd83777dec0468 c76fdc5b0a4ce879086e66766f520386f9db6e1999d8b0e1ad0
What I do wrong ?